
Sun. - 10 AM Sun. School, 11:30 AM Worship Service | Wed. - 7PM Small Groups -Kids group


Due to the various changes in the world today.  The true Christian MUST learn the different methods of how to apply God's Words to their lives.  It begins with Ones commitment to become Christ center in their daily spiritual walk.  These different aspects are discussed in our weekly services in full details.  To be Christ center, a Christian must have the mindset to do all for the Glory of the God.  This is trusting your decision- making process to rely on your fundamental Biblical base conscious, mindset.   Remember what your put in , is what going to come out.  Therefore, feed your mind /conscious the right kind of information so that you can trust your when are under attack or extreme pressure.       

## Misplaced records of molecules
=====
Formula: C26H78O23P2S
Source: the OMol25 dataset
Level of theory: wB97M-V/def2-TZVPD

Its frontier orbital gap is 0.344 Ha. The charge is 0. The calculation puts the largest force on an atom at 2.36 eV/Å. The calculation puts the HOMO energy at -0.338 Ha.

Each line ends with the Mulliken charge.
Geometry (Å):
C (3.804, -1.014, 0.712)  -2.405
C (3.799, 0.000, -0.424)  1.786
C (4.903, 0.825, -0.503)  -0.954
C (4.953, 1.759, -1.497)  -0.372
C (3.917, 1.912, -2.384)  -1.085
C (2.836, 1.089, -2.293)  -0.039
C (2.761, 0.100, -1.324)  0.347
C (1.551, -0.804, -1.319)  -1.483
C (0.372, -0.261, -0.487)  0.467
O (-0.491, -1.464, -0.291)  -0.402
S (-2.034, -1.160, -0.510)  1.151
O (-2.766, -1.788, 0.524)  -0.710
O (-2.585, -1.390, -1.812)  -0.639
O (-1.889, 0.437, -0.411)  -0.037
C (-0.617, 0.701, -1.129)  0.320
P (-0.361, 2.538, -0.977)  -0.084
P (0.982, 3.059, 0.634)  0.417
O (0.483, 4.361, 1.118)  -0.257
O (2.463, 3.278, 0.096)  -0.402
O (1.013, 2.049, 1.879)  -0.556
H (4.711, -1.619, 0.726)  0.599
H (2.900, -1.618, 0.749)  0.296
H (3.807, -0.426, 1.640)  0.417
H (5.729, 0.721, 0.190)  0.488
H (5.821, 2.404, -1.604)  0.412
H (3.941, 2.648, -3.180)  0.455
H (2.018, 1.213, -3.000)  0.412
H (1.844, -1.754, -0.872)  0.516
H (1.231, -1.060, -2.342)  0.172
H (0.633, -0.029, 0.547)  0.367
H (-0.830, 0.419, -2.165)  0.130
H (-1.606, 3.021, -0.533)  0.046
H (2.392, 3.627, -0.807)  0.365
H (0.524, 2.487, 2.590)  0.292
C (-3.151, -0.720, 4.304)  -0.716
O (-3.662, -0.337, 3.033)  -0.403
H (-3.752, -0.237, 5.072)  0.233
H (-3.217, -1.804, 4.430)  0.308
H (-2.111, -0.401, 4.412)  0.264
H (-3.125, -0.769, 2.361)  0.305
C (-0.412, -2.921, -4.759)  -0.693
O (-0.259, -1.818, -3.873)  -0.377
H (0.534, -3.079, -5.273)  0.251
H (-0.672, -3.824, -4.200)  0.267
H (-1.191, -2.713, -5.496)  0.270
H (-1.091, -1.681, -3.417)  0.212
C (-2.894, 3.179, 2.890)  -0.561
O (-2.759, 2.798, 1.525)  -0.215
H (-2.271, 4.055, 3.058)  0.164
H (-3.934, 3.428, 3.117)  0.313
H (-2.564, 2.368, 3.545)  0.199
H (-3.313, 2.022, 1.390)  0.082
C (-6.092, 2.713, 0.100)  -0.634
O (-5.891, 1.513, -0.645)  -0.497
H (-6.798, 3.339, -0.439)  0.359
H (-6.501, 2.472, 1.086)  0.248
H (-5.147, 3.251, 0.210)  0.229
H (-5.267, 0.966, -0.160)  0.268
C (-9.326, 1.248, -0.064)  -0.364
O (-9.236, 0.300, 0.995)  -0.515
H (-10.368, 1.535, -0.179)  0.285
H (-8.733, 2.132, 0.174)  0.091
H (-8.969, 0.802, -0.995)  0.226
H (-8.310, 0.056, 1.082)  0.297
C (0.679, 7.526, 3.384)  -0.418
O (0.890, 7.137, 2.036)  -0.477
H (1.241, 8.440, 3.568)  0.261
H (-0.383, 7.719, 3.569)  0.102
H (1.033, 6.747, 4.067)  0.235
H (0.388, 6.327, 1.885)  0.342
C (-1.699, 6.293, -2.450)  -0.490
O (-0.842, 5.571, -1.561)  -0.259
H (-2.425, 5.600, -2.868)  0.248
H (-2.218, 7.075, -1.898)  0.140
H (-1.113, 6.735, -3.261)  0.284
H (-0.207, 6.195, -1.198)  0.205
C (-3.667, 8.829, 0.468)  -0.522
O (-3.450, 7.623, -0.273)  -0.401
H (-4.374, 9.445, -0.084)  0.214
H (-4.083, 8.591, 1.449)  0.114
H (-2.728, 9.377, 0.585)  0.351
=====


The teenage years are probably the most exciting yet frustrating of our entire lifetime.  Today's teens face challenges completely different from those of previous generations. Most of the stress comes from school, family, employment, intimate relationship, peer pressure and college plans    Some of the negative influences you may encounter today include drugs and alcohol. promiscuity, suicide and violence Some of these pressures were unheard of when our parents was young adults.  The only negative thing they faced  were smoking and alcohol and some sexual activities. Today promiscuity seems to be the norm.  In the past generation the family unit consist of a Mom and Dad. Today, one third of kids don't live with their natural fathers.  Over fifteen million children grow up in homes without any father.  And throughout most of the 1970 and 80's, one million kids a year watched their parents spilt up.  Unfortunately, today teens face difficult that many of us never even imagined.

Attached: records of molecules
<<<
1.
The following is a DFT calculation (the ωB97M-V functional and the def2-TZVPD basis) of one molecule with the formula C6H4O.

Each line ends with the Mulliken charge.
Element x y z (Å)
H1 1.62523 -1.95520 -1.73092  0.3391
H2 -0.80471 -0.92438 -1.94468  0.2459
C1 1.12169 -1.21204 -1.08333  0.0434
C2 -0.32659 2.70063 2.14266  -0.5744
C3 -0.62975 0.56051 0.74498  0.8074
C4 -0.40530 -1.30568 -1.00402  -0.5428
C5 -0.83385 -0.39448 0.03529  -0.0212
H3 -0.72151 -2.34810 -0.93789  0.3635
C6 -0.47009 1.68462 1.51439  -0.6822
O1 1.75014 -0.36825 -0.50027  -0.4244
H4 -0.30526 3.56237 2.76378  0.4459

As for the structure (SMILES): C#CC#CCC=O. Its HOMO energy is -9.38 eV. The net charge is 0.

2.
The following is a DFT calculation (the ωB97M-V functional and the def2-TZVPD basis) of one molecule with the formula C6H4O.

Each line ends with the Mulliken charge.
Element x y z (Å)
C1 0.00247 -0.94657 0.69108  -0.6497
C2 2.33900 -0.01036 0.28855  -0.0906
C3 1.19378 -0.70306 0.57011  -0.2639
C4 -0.91957 -0.09016 -0.06888  0.4044
H1 -2.39935 0.27342 -1.55830  0.2151
O1 -2.01468 0.56369 0.51070  -0.3972
C5 -2.24457 -0.26672 -0.62502  -0.2778
C6 3.26419 0.70888 -0.00049  0.1335
H2 4.09172 1.33785 -0.23547  0.4001
H3 -2.85476 -1.14092 -0.44884  0.2539
H4 -0.29118 0.55777 -0.67267  0.2720

As for the structure (SMILES): C#CC#C[C@H]1CO1. Its HOMO energy is -9.53 eV. The net charge is 0.

Order of stability, best first: 1, 2

1.
The following is a DFT calculation (the ωB97M-V functional and the def2-TZVPD basis) of one molecule with the formula C6H4O.

Each line ends with the Mulliken charge.
Element x y z (Å)
H1 -2.79299 1.08237 0.35927  0.3647
H2 4.00108 -0.24512 0.09603  0.4031
C1 -0.56002 0.87609 0.11305  -0.5853
C2 -2.37155 -0.72467 -0.37452  -0.5245
C3 1.74272 -0.06085 -0.09266  -0.4107
C4 -1.95393 0.46125 0.04046  -0.0036
C5 0.31280 -0.11343 -0.15101  0.4154
H3 -0.24892 1.87950 0.38017  0.3771
C6 2.93954 -0.16787 -0.00838  0.0458
H4 -0.88365 -1.64607 0.13326  0.3591
O1 -0.18510 -1.34120 -0.49567  -0.4412

Its HOMO energy is -8.98 eV. The net charge is 0.

2.
The following is a DFT calculation (the ωB97M-V functional and the def2-TZVPD basis) of one molecule with the formula C6H4O.

Each line ends with the Mulliken charge.
Element x y z (Å)
O1 0.37889 0.57629 1.79504  -0.4670
C1 -0.09031 -1.85974 0.17301  -1.0464
C2 -1.79684 -0.18936 -0.65080  -0.2619
H1 -0.76144 -2.64757 -0.17376  0.3430
H2 0.85257 -1.93422 -0.37903  0.2854
C3 0.32068 1.82578 -0.18422  -0.3564
C4 -0.68395 -0.48403 -0.03366  0.4580
C5 0.64610 2.73799 -0.90092  0.2692
C6 0.02328 0.67100 0.64392  0.0742
H3 0.11547 -1.99598 1.23799  0.3035
H4 0.93782 3.54789 -1.53482  0.3984

Its HOMO energy is -10.44 eV. The net charge is 0.

Order of stability, best first: 2, 1

1.
The following is a DFT calculation (the ωB97M-V functional and the def2-TZVPD basis) of a 2-piece molecular cluster, C4H3N overall.

Each line ends with the Mulliken charge.
Element x y z (Å)
C1 1.41339 -0.40937 0.46317  -0.4760
>>>

To compound matter, the teen and young adults are trying to find their own identity  Relationships are the upmost importance. This generation probably spend most of their time in fast food places, sport fields and stores.  Regardless of the place, you usually spend time with the same people and do the things they normally do together. That's why your choices of friends is so important.

(These calculated molecules were left in the piece by mistake)
┌──
{"formula": "H53O27Y", "method": "ωB97M-V/def2-TZVPD", "species": ["Y", "O", "O", "O", "O", "O", "O", "O", "O", "O", "O", "O", "O", "O", "O", "O", "O", "O", "O", "O", "O", "O", "O", "O", "O", "O", "O", "O", "H", "H", "H", "H", "H", "H", "H", "H", "H", "H", "H", "H", "H", "H", "H", "H", "H", "H", "H", "H", "H", "H", "H", "H", "H", "H", "H", "H", "H", "H", "H", "H", "H", "H", "H", "H", "H", "H", "H", "H", "H", "H", "H", "H", "H", "H", "H", "H", "H", "H", "H", "H", "H"], "xyz": [[-2.2575, -0.3079, -0.5222], [0.4315, 2.8766, 1.6910], [-1.9840, 1.0134, -2.7116], [2.0672, 1.2256, -1.3856], [-4.3843, -1.6358, -0.8586], [1.0355, 1.4914, 3.9924], [-0.7844, -2.0522, 3.7458], [1.5274, 1.3289, -3.9543], [3.9244, -0.7067, -0.8786], [5.2163, 0.9654, 1.2688], [-3.0407, -4.0756, -3.0908], [-1.9709, -1.6688, -2.4783], [-0.1003, -0.5360, -0.6578], [-3.5115, -0.0593, 1.5436], [2.4525, -0.0909, 1.8565], [-2.0935, 2.1202, 3.2261], [-1.1709, 4.9681, 2.4064], [1.6653, -2.3210, -1.2421], [4.0913, -1.0222, 3.9700], [-0.1053, 3.6934, -2.7800], [2.8065, 3.0148, 0.3847], [-2.0022, -2.5957, 0.2196], [-1.4480, 1.9908, 0.0324], [0.1039, -1.5231, -4.5564], [-0.3197, -4.3274, -0.7209], [-0.8534, -0.2407, 1.8762], [3.3111, -3.9919, -2.6717], [-4.0524, 1.1478, -0.7763], [-2.5819, -4.1480, -2.2539], [2.4808, -3.5380, -2.5275], [0.2056, -5.0623, -1.0376], [4.0063, -1.9709, 4.0647], [2.4224, -1.7377, -1.2937], [0.2566, -0.0176, 0.0895], [3.3628, 2.9817, 1.1630], [-1.0983, -1.5845, -2.8626], [0.2072, -3.5531, -0.9184], [1.4216, 0.6378, -0.9933], [3.7483, -3.9687, -1.8205], [-3.0595, 0.2224, 2.3390], [0.3747, 1.3223, 4.6640], [1.8976, -0.2816, 1.1002], [2.1363, 1.9531, -0.7675], [-2.2694, -2.5371, -2.7490], [-2.1813, 0.8201, -3.6281], [-1.6035, 2.5893, 3.9014], [1.3153, 3.0978, 1.3973], [-4.5286, 1.4966, -1.5298], [3.4731, -0.7940, 3.2757], [-0.7868, 4.0751, -2.2267], [-0.4403, -1.0041, -5.1487], [3.0840, 3.8071, -0.0751], [-1.3902, 1.7634, -2.7470], [3.4639, 0.0126, -1.3109], [-4.4645, 1.5631, -0.0187], [1.8096, 1.7694, 4.4820], [-0.7322, 2.1991, 0.6328], [5.8315, 1.6824, 1.4226], [-2.4912, 2.8102, 2.6952], [-0.2521, 4.0807, -3.6430], [-0.5581, 4.3089, 2.0805], [-1.4437, -2.4236, 4.3320], [-1.8674, 2.8333, -0.1425], [4.4195, 1.2301, 1.7284], [-0.7007, 0.4426, 2.5289], [1.4086, 0.3846, -3.8525], [0.6967, -2.0036, -5.1343], [-5.2272, -1.2216, -1.0437], [-0.0078, -2.5946, 3.8837], [-1.4250, -3.3001, -0.0752], [-0.6606, -1.0583, 2.3351], [0.5639, 2.3858, 2.5021], [-4.1603, -0.6937, 1.8483], [0.9420, -1.7526, -0.9773], [-2.6835, -3.0394, 0.7249], [-1.2803, 4.7565, 3.3334], [4.3646, -0.2967, -0.1340], [1.9257, 0.4961, 2.3988], [-3.3912, -4.9522, -3.2490], [-4.6055, -2.5391, -0.6319], [1.5183, 1.6697, -3.0599]], "mulliken_charge": [0.91, -0.98, -0.40, -0.74, -0.34, -0.50, -0.50, -0.69, -0.64, -0.57, -0.67, -0.51, 1.17, -0.37, -0.24, -0.59, -0.64, -0.77, -0.62, -0.53, -0.54, -0.27, -0.02, -0.54, -0.74, -0.28, -0.61, -0.32, 0.29, 0.32, 0.38, 0.31, 0.43, -0.23, 0.22, 0.09, 0.30, 0.19, 0.30, 0.18, 0.24, 0.00, 0.40, 0.37, 0.23, 0.25, 0.39, 0.25, 0.30, 0.27, 0.26, 0.24, 0.21, 0.38, 0.22, 0.23, 0.18, 0.33, 0.29, 0.28, 0.47, 0.24, 0.21, 0.21, -0.05, 0.32, 0.25, 0.22, 0.26, 0.34, 0.29, 0.38, 0.25, -0.01, 0.20, 0.28, 0.29, 0.40, 0.32, 0.23, 0.37], "multiplicity": 1, "de_lowest_kj_mol": 0.0, "homo_energy_ev": -14.0, "lumo_ev": -5.745, "charge": 2, "total_energy_ev": -57180.531}
└──

The teen years are marked by several stages of "Changes."  Understanding these changes will help the young adults and teens understand themselves. The first stage you will experience is referred to as the hormonal changes. During this phase you experience an "adolescent growth spurt," or growing pains.  This time can be embarrassing and difficult. The next phase is the intellectual or cognitive stage.  You are beginning to comprehend cause and effect during this time.  Third. you face identity formation. During this time you seem to be on am emotional roller coaster.  This is probably because of your physical changes and awareness of developing sexuality.